McIntosh MA2275 - opinions

I am lusting over the MA2275 so much right now and I hope someone will talk me out of it.

Kidding aside, I now own a (current) C22/MC275 combo, and I am happy about it, except for the unconvenience associated to the room it takes.

My actual questions to owners and former owners are this: I listent mostly to vinyl (MM cartridge), and I was wondering if the phono stage in it is tube based, and if it is good? Also, does the amp sound “veiled”?

It all depends on what you are after. The gsi75 sure fits your expressed desire for fewer boxes and by extension, fewer cables. My recollection of the phono stage is that it was highly adjustable. It is a solid state phono stage however. The dac was actually quite good.

the downside of the gsi75 is what you get is what you get, zero ability to season the amp if it doesn’t check all your boxes. One manufacturer of kt150’s, one manufacturer of 6h30’s, no tone controls, about your only opportunity to affect the sound would be on the ac side and speaker cables. Maybe phono cartridge. Maybe through dsp with roon but that would be about it.

-- begin --
# 1
First-principles (PBE) data for a relaxed structure of LaY2Mg, as listed in Alexandria via LeMat-Bulk.

Values from the calculation:
raw total energy: -19.32 eV per cell
total magnetization: 0.00 μB/f.u.

Unit cell a=3.5354 b=5.3192 c=6.8520 alpha=90.00 beta=101.41 gamma=90.00
Space group P2/m (No. 10)
Inequivalent atoms, fractional coordinates:
La (0.0000, 0.0000, 0.0000) x1
Y (0.4150, 0.5000, 0.7349) x2
Mg (0.0000, 0.0000, 0.5000) x1

=====

# 2
First-principles (PBE) data for a relaxed structure of TiFe3Pt, as listed in Alexandria via LeMat-Bulk.

Values from the calculation:
polymorph energy (0 for the lowest one): 35 meV per atom
total magnetization: 7.31 μB/f.u.

Unit cell a=4.6460 b=4.6460 c=4.6460 alpha=90.00 beta=90.00 gamma=90.00
Space group Pm-3m (No. 221)
Inequivalent atoms, fractional coordinates:
Ti (0.0000, 0.0000, 0.0000) x1
Fe (0.0000, 0.5000, 0.5000) x3
Pt (0.5000, 0.5000, 0.5000) x1

=====

# 3
First-principles (PBE) data for a relaxed structure of NbAlS2, as listed in Alexandria via LeMat-Bulk.

Values from the calculation:
total magnetization: 0.00 μB/f.u.
E_form (uncorrected): -1.8 eV per formula unit

Unit cell a=3.3118 b=3.3118 c=23.0706 alpha=90.00 beta=90.00 gamma=120.00
Space group R-3m (No. 166, hexagonal axes)
Inequivalent atoms, fractional coordinates:
Nb (0.0000, 0.0000, 0.0000) x3
Al (0.0000, 0.0000, 0.5000) x3
S (0.0000, 0.0000, 0.1063) x6
-- stop --

make no mistake, the gsi75 was arc’s all out assault on building a reference quality integrated and it is an exceptional piece, especially at used pricing. Biasing was no issue and it was rock steady. I had mine matched up with wilson audio duette 2 speakers and it was a really special setup. As i type this Im trying to recall why I moved on from it and frankly, I must have been crazy LOL.

good luck and best wishes.
ghasley great imput! I never heard and ARC amplifier, but heard a Ref preamp on Boulder and Wilson Sasha 2 and the image was crazy good.

Attached: calculated crystals
/*
Entry 1:
{
  "formula": "LaNi2Rh",
  "functional": "meta-GGA SCAN",
  "state": "PBEsol geometry",
  "lattice": [[2.9926, 0.0000, 0.0000], [0.0000, 3.6197, 0.0000], [0.0000, 0.0000, 5.7885]],
  "species": ["La", "Ni", "Ni", "Rh"],
  "fractional_positions": [[0.0000, 0.0000, 0.0000], [0.5000, 0.5000, 0.3004], [0.5000, 0.5000, 0.6996], [0.0000, 0.0000, 0.5000]],
  "n_ef_per_ev_atom": 1.1179,
  "spacegroup": "Pmmm",
  "m_tot_mub_per_fu": 0.00
}

=====

Entry 2:
{
  "formula": "La2Ni2Rh",
  "functional": "meta-GGA SCAN",
  "state": "PBEsol geometry",
  "lattice": [[-1.7304, 1.7304, 8.1024], [1.7304, -1.7304, 8.1024], [1.7304, 1.7304, -8.1024]],
  "species": ["La", "La", "Ni", "Ni", "Rh"],
  "fractional_positions": [[0.1090, 0.1090, 0.0000], [0.8910, 0.8910, 0.0000], [0.2500, 0.7500, 0.5000], [0.7500, 0.2500, 0.5000], [0.5000, 0.5000, 0.0000]],
  "n_ef_per_ev_atom": 0.6079,
  "spacegroup": "I4/mmm",
  "m_tot_mub_per_fu": 0.00
}

=====

Entry 3:
{
  "formula": "La2NiRu",
  "functional": "meta-GGA SCAN",
  "state": "PBEsol geometry",
  "lattice": [[3.4526, 0.0000, 0.0000], [0.0000, 3.4527, 0.0000], [-0.0238, 0.0000, 7.1175]],
  "species": ["La", "La", "Ni", "Ru"],
  "fractional_positions": [[0.0005, 0.0000, 0.2504], [0.9995, 0.0000, 0.7496], [0.5000, 0.5000, 0.0000], [0.5000, 0.5000, 0.5000]],
  "n_ef_per_ev_atom": 0.3258,
  "spacegroup": "P2/m",
  "m_tot_mub_per_fu": 0.00
}

=====

Entry 4:
{
  "formula": "LaNiRu",
  "functional": "meta-GGA SCAN",
  "state": "PBEsol geometry",
  "lattice": [[-2.5305, 2.6178, 3.8420], [2.5305, -2.6178, 3.8420], [2.5305, 2.6178, -3.8420]],
  "species": ["La", "La", "Ni", "Ni", "Ru", "Ru"],
  "fractional_positions": [[0.3722, 0.1222, 0.2500], [0.6278, 0.8778, 0.7500], [0.0000, 0.5000, 0.5000], [0.5000, 0.5000, 0.0000], [0.0000, 0.0000, 0.5000], [0.0000, 0.5000, 0.0000]],
  "n_ef_per_ev_atom": 0.7207,
  "spacegroup": "Imma",
  "m_tot_mub_per_fu": 0.00
}

=====

Entry 5:
{
  "formula": "La3NiRu",
  "functional": "meta-GGA SCAN",
  "state": "PBEsol geometry",
  "lattice": [[5.1329, 0.0000, 0.0000], [0.0000, 5.1329, 0.0000], [0.0000, 0.0000, 5.1329]],
  "species": ["La", "La", "La", "Ni", "Ru"],
  "fractional_positions": [[0.0000, 0.0000, 0.5000], [0.0000, 0.5000, 0.0000], [0.5000, 0.0000, 0.0000], [0.0000, 0.0000, 0.0000], [0.5000, 0.5000, 0.5000]],
  "n_ef_per_ev_atom": 0.5958,
  "spacegroup": "Pm-3m",
  "m_tot_mub_per_fu": 0.00
}

=====

Entry 6:
{
  "formula": "La2NiRu",
  "functional": "meta-GGA SCAN",
  "state": "PBEsol geometry",
  "lattice": [[4.0220, 0.0000, 0.0000], [0.0000, 1.9579, 5.5555], [0.0000, -1.9579, 5.5555]],
  "species": ["La", "La", "Ni", "Ru"],
  "fractional_positions": [[0.0000, 0.0000, 0.0000], [0.5000, 0.2783, 0.2783], [0.0000, 0.7114, 0.7114], [0.5000, 0.5612, 0.5612]],
  "n_ef_per_ev_atom": 0.5067,
  "spacegroup": "Amm2",
  "m_tot_mub_per_fu": 0.00
}

=====

| no. | energy of formation from the pure elements (meV/atom) | E (eV/cell) |
| --- | --- | --- |
| 1 | 53.1 | -109.011 |
*/
Here the page continues

Is ARC better than McTubes? How would you name its sound?
I own both the MA 2275 and the PrimaLuna Dialogue Premium.  The MA2275 is head and shoulders above the PrimaLuna.  I’m not knocking the PrimaLuna in the least.  It’s excellent.  If I didn’t love it, I wouldn’t own it.   I’ve had some amazing listening sessions on both.  As for the MA2275 being veiled, nope.  It’s simply not.  It’s big.  It’s refined.  It’s  smooth.   As for the MA2275 phono preamp: it’s excellent but it’s MM or HOMC only.  I’ve used the reproduction SUT from Audio Classics for MC carts.  It’s very good but it’s not as good as a dedicated pre.  I’ve settled on the Manley Chinook and use one on both the Mac and PL systems.  

### Here the page breaks off for records of crystals
-- begin --
# 1
! ErHf2O3, optimized geometry, DFT PBE-GGA; values from VASP
&SYSTEM
  ibrav = 0, nat = 6, ntyp = 3
/
ATOMIC_SPECIES
Er 167.26 Er.upf
Hf 178.49 Hf.upf
O 16.00 O.upf
ATOMIC_POSITIONS crystal
Er 0.0000 0.0000 0.0000
Hf 0.3333 0.6667 0.3411
Hf 0.6667 0.3333 0.6589
O 0.0000 0.0000 0.5000
O 0.3333 0.6667 0.8180
O 0.6667 0.3333 0.1820
CELL_PARAMETERS angstrom
3.2532 0.0000 0.0000
-1.6266 2.8174 0.0000
0.0000 0.0000 7.9617
! Calculated total energy: -53.0 eV for the cell shown
! Volume: 73.0 Å³/cell
! Symmetry: P-3m1

=====

# 2
! TcSbNO, optimized geometry, DFT PBE-GGA; values from VASP
&SYSTEM
  ibrav = 0, nat = 8, ntyp = 4
/
ATOMIC_SPECIES
Tc 98.00 Tc.upf
Sb 121.76 Sb.upf
N 14.01 N.upf
O 16.00 O.upf
ATOMIC_POSITIONS crystal
Tc 0.2500 0.7500 0.0000
Tc 0.7500 0.2500 0.0000
Sb 0.2500 0.2500 0.3387
Sb 0.7500 0.7500 0.6613
N 0.2500 0.2500 0.8978
N 0.7500 0.7500 0.1022
O 0.2500 0.7500 0.5000
O 0.7500 0.2500 0.5000
CELL_PARAMETERS angstrom
3.8384 0.0000 0.0000
0.0000 3.8384 0.0000
0.0000 0.0000 7.5791
! Offset from the most stable computed form: 31 meV per atom
! Volume: 111.7 Å³/cell
! Symmetry: P4/nmm

=====

# 3
! B2SbMo2, optimized geometry, DFT PBE-GGA; values from VASP
&SYSTEM
  ibrav = 0, nat = 5, ntyp = 3
/
ATOMIC_SPECIES
B 10.81 B.upf
Sb 121.76 Sb.upf
Mo 95.94 Mo.upf
ATOMIC_POSITIONS crystal
B 0.2163 0.7837 0.0000
B 0.7837 0.2163 0.0000
Sb 0.0000 0.0000 0.0000
Mo 0.3462 0.6538 0.5000
Mo 0.6538 0.3462 0.5000
CELL_PARAMETERS angstrom
1.5328 -6.6633 0.0000
1.5328 6.6633 0.0000
0.0000 0.0000 3.1443
! Calculated total energy: -39.5 eV for the cell shown
! Volume: 64.2 Å³/cell
! Symmetry: Cmmm

=====

# 4
! RbBaTc, optimized geometry, DFT PBE-GGA; values from VASP
&SYSTEM
  ibrav = 0, nat = 3, ntyp = 3
/
ATOMIC_SPECIES
Rb 85.47 Rb.upf
Ba 137.33 Ba.upf
Tc 98.00 Tc.upf
ATOMIC_POSITIONS crystal
Rb 0.0000 0.0000 0.0000
Ba 0.5000 0.5000 0.5000
Tc 0.7500 0.7500 0.7500
CELL_PARAMETERS angstrom
0.0000 4.0020 4.0020
4.0020 0.0000 4.0020
4.0020 4.0020 0.0000
! Offset from the most stable computed form: 125 meV per atom
! Volume: 128.2 Å³/cell
! Symmetry: F-43m

=====

# 5
! BaAl2Ag2, optimized geometry, DFT PBE-GGA; values from VASP
&SYSTEM
  ibrav = 0, nat = 5, ntyp = 3
/
ATOMIC_SPECIES
Ba 137.33 Ba.upf
Al 26.98 Al.upf
Ag 107.87 Ag.upf
ATOMIC_POSITIONS crystal
Ba 0.0000 0.0000 0.0000
Al 0.3708 0.3708 0.0000
Al 0.6292 0.6292 0.0000
Ag 0.2500 0.7500 0.5000
Ag 0.7500 0.2500 0.5000
CELL_PARAMETERS angstrom
-2.3476 2.3476 5.3876
2.3476 -2.3476 5.3876
2.3476 2.3476 -5.3876
! Calculated total energy: -16.1 eV for the cell shown
! Volume: 118.8 Å³/cell
! Symmetry: I4/mmm

=====

# 6
! TcBAs, optimized geometry, DFT PBE-GGA; values from VASP
&SYSTEM
  ibrav = 0, nat = 3, ntyp = 3
/
ATOMIC_SPECIES
Tc 98.00 Tc.upf
B 10.81 B.upf
As 74.92 As.upf
ATOMIC_POSITIONS crystal
Tc 0.0000 0.0000 0.0000
B 0.2500 0.2500 0.2500
As 0.7500 0.7500 0.7500
CELL_PARAMETERS angstrom
0.0000 2.8030 2.8030
2.8030 0.0000 2.8030
2.8030 2.8030 0.0000
-- stop --

No offense intended but reading your impressions of your MA2275 makes me wonder which one of our experiences was formed on a baseline MA2275. Even those in the know internally at McIntosh look away when discussing this amp. McIntosh rarely discontinues a good product, they evolve it, which wasn’t the case for the 2275.

its a beautiful piece of gear, I only wish it sounded as good as it looked. The damping factor of a run of the mill consumer grade receiver and a veil that would never lift were hallmarks of my ownership experience many years ago. It wasn’t terrible, it just didn’t fulfill its potential. If the OP were to sell a C22/275 combo and purchase a 2275 he/she would take a handfull of pills immediately.
I’ve never heard the 2275, but having owned a ton of Mac gear, I do concur that your 22/275 set up would satisfy most anyone.  It’s an absolutely stunning combo.  
I have a large collection of gear and rotate in and out all the time. There are a few Mac pieces I’d wish I’d kept.  If I had a 22/275 set, I certainly wouldn’t let go of it.  
You might kick yourself if you do.